Extra-curricular activities


Extracurricular external internships complement the knowledge acquired by students during their academic training, enhancing their employability by acquiring competencies that prepare them for professional activities.

These internships have a duration of 150-900 hours and are voluntary. They will be recorded in the student's European supplement to their degree, increasing the value of their curriculum by gaining direct professional experience.

These internships allow students to apply and complement the theoretical and practical knowledge acquired during their academic training, fostering the acquisition of technical, methodological, attitudinal, and participative competencies that prepare them for professional activities in any company related to the field of pharmacy. This includes pharmacies, distribution, official bodies, or any public or private company in which a pharmacist's skills are relevant. Consequently, students gain a realistic view of the job market and expand their hiring possibilities.

The collaborating organizations and companies offering these internships span across all autonomous communities and even abroad.

**Attached: calculated crystals**
┌──
[1]
A relaxed structure of He, computed with PBE-GGA.

## Properties
polymorph energy (0 for the lowest one) = 2.0 meV per atom
formation enthalpy at 0 K = 0.00 eV/atom

Lattice parameters (Å, degrees): 2.7327 2.7327 4.4493 90.00 90.00 120.00
With the nearest neighbours (Å) after each atom.
Positions (direct):
He1 0.3333 0.6667 0.2500  12 He 2.73
He2 0.6667 0.3333 0.7500  12 He 2.73


[2]
A relaxed structure of Tl4Br3Cl, computed with PBE-GGA.

## Properties
total energy after the MP2020 corrections = -23.77 eV/f.u.
formation enthalpy at 0 K = -0.94 eV/atom

Lattice parameters (Å, degrees): 4.0161 4.0161 16.0955 90.00 90.00 90.00
With the nearest neighbours (Å) after each atom.
Positions (direct):
Tl1 0.0000 0.0000 0.1216  4 Cl 3.45, 4 Br 3.50
Tl2 0.0000 0.0000 0.3749  8 Br 3.48-3.49
Tl3 0.0000 0.0000 0.6251  8 Br 3.48-3.49
Tl4 0.0000 0.0000 0.8784  4 Cl 3.45, 4 Br 3.50
Br1 0.5000 0.5000 0.2492  8 Tl 3.49-3.50
Br2 0.5000 0.5000 0.5000  8 Tl 3.48
Br3 0.5000 0.5000 0.7508  8 Tl 3.49-3.50
Cl1 0.5000 0.5000 0.0000  8 Tl 3.45


[3]
A relaxed structure of UFe2B6, computed with PBE-GGA.

## Properties
formation enthalpy at 0 K = -0.52 eV/atom

Lattice parameters (Å, degrees): 5.3363 5.3363 5.3363 146.16 110.48 79.60
With the nearest neighbours (Å) after each atom.
Positions (direct):
U1 0.0000 0.0000 0.0000  16 B 2.66-2.89
Fe1 0.3483 0.8483 0.5000  10 B 2.02-2.18
Fe2 0.6517 0.1517 0.5000  10 B 2.02-2.18
B1 0.0648 0.3041 0.7607  3 B 1.70-1.79
B2 0.3541 0.5000 0.8541  3 B 1.70-1.78
B3 0.4567 0.6959 0.7607  3 B 1.70-1.79
B4 0.5433 0.3041 0.2393  3 B 1.70-1.79
B5 0.6459 0.5000 0.1459  3 B 1.70-1.78
B6 0.9352 0.6959 0.2393  3 B 1.70-1.79


[4]
A relaxed structure of MgSb2, computed with PBE-GGA.

## Properties
total energy after the MP2020 corrections = -10.18 eV/f.u.
formation enthalpy at 0 K = -0.11 eV/atom

Lattice parameters (Å, degrees): 6.4187 6.4187 8.2025 107.33 107.33 28.84
With the nearest neighbours (Å) after each atom.
Positions (direct):
Mg1 0.0343 0.0343 0.3025  8 Sb 3.06-3.37, 2 Mg 3.20
Mg2 0.9657 0.9657 0.6975  8 Sb 3.06-3.37, 2 Mg 3.20
Sb1 0.3259 0.3259 0.3871  4 Mg 3.06-3.30, 4 Sb 3.20-3.42
Sb2 0.3758 0.3758 0.9937  3 Sb 3.06-3.20, 4 Mg 3.13-3.37
Sb3 0.6242 0.6242 0.0063  3 Sb 3.06-3.20, 4 Mg 3.13-3.37
Sb4 0.6741 0.6741 0.6129  4 Mg 3.06-3.30, 4 Sb 3.20-3.42


[5]
A relaxed structure of EuZnIn, computed with PBE-GGA.

## Properties
formation enthalpy at 0 K = -0.39 eV/atom

Lattice parameters (Å, degrees): 6.1423 6.1423 7.7445 128.63 128.63 46.35
With the nearest neighbours (Å) after each atom.
Positions (direct):
Eu1 0.0366 0.0366 0.2910  6 Zn 3.29-3.53, 6 In 3.36-3.56
Eu2 0.9634 0.9634 0.7090  6 Zn 3.29-3.53, 6 In 3.36-3.56
Zn1 0.3405 0.3405 0.2930  1 Zn 2.75, 2 In 2.80
Zn2 0.6595 0.6595 0.7070  1 Zn 2.75, 2 In 2.80
In1 0.3290 0.3290 0.8814  3 Zn 2.80-3.10, 1 In 2.94
In2 0.6710 0.6710 0.1186  3 Zn 2.80-3.10, 1 In 2.94


[6]
A relaxed structure of KCaTbBiO6, computed with PBE-GGA.

## Properties
└──

These internships are governed by UCLM regulations (link here)  

## Next to the article, the page also holds crystal structures
-- begin --
Record 1
VASP calculation (GGA-PBE) on crystalline CsHoCoSe3 at its relaxed geometry.

extended XYZ file:
```
12
Lattice="2.054 -8.129 0.000 2.054 8.129 0.000 0.000 0.000 10.863" Properties=species:S:1:pos:R:3 pbc="T T T"
Cs 2.054 4.221 8.147
Cs 2.054 -4.221 2.716
Ho 2.054 0.000 0.000
Ho 2.054 0.000 5.432
Co 2.054 7.578 2.716
Co 2.054 -7.578 8.147
Se 2.054 6.270 0.708
Se 2.054 6.270 4.723
Se 2.054 0.860 2.716
Se 2.054 -0.860 8.147
Se 2.054 -6.270 6.140
Se 2.054 -6.270 10.155
```

Output
Total DFT energy (no corrections) (eV/atom): -5.021
Calculated formation energy (eV/atom): -1.41

=====

Record 2
VASP calculation (GGA-PBE) on crystalline LiYSe2 at its relaxed geometry.

extended XYZ file:
```
16
Lattice="5.699 0.000 0.000 0.000 5.699 0.000 0.000 0.000 11.592" Properties=species:S:1:pos:R:3 pbc="T T T"
Li 0.000 1.425 4.347
Li 0.000 4.274 7.245
Li 2.850 1.425 1.449
Li 2.850 4.274 10.143
Y 0.000 1.425 10.143
Y 0.000 4.274 1.449
Y 2.850 1.425 7.245
Y 2.850 4.274 4.347
Se 0.000 1.425 1.412
Se 0.000 1.425 7.282
Se 0.000 4.274 4.310
Se 0.000 4.274 10.180
Se 2.850 1.425 4.384
Se 2.850 1.425 10.105
Se 2.850 4.274 1.486
Se 2.850 4.274 7.208
```

Output
Total DFT energy (no corrections) (eV/atom): -5.524
Calculated formation energy (eV/atom): -1.92

~~~~~

LiNbO3: optimized geometry, meta-GGA r2SCAN.

Cell lengths 6.1867, 8.2658, 9.5093 Å; angles 90.00, 89.94, 90.00 degrees
Atoms (fractional coordinates):
Li: 0.4810 0.8154 0.4803
O: 0.9321 0.6310 0.1253
O: 0.4842 0.5294 0.1580
Nb: 0.2663 0.9992 0.2428
O: 0.3043 0.8389 0.0975
Nb: 0.2663 0.5008 0.7428
Nb: 0.9975 0.8022 0.0015
Li: 0.7770 0.3830 0.7701
O: 0.8168 0.3064 0.1350
O: 0.7258 0.6867 0.3956
O: 0.0634 0.4872 0.3691
Nb: 0.0025 0.3022 0.4985
O: 0.9321 0.8690 0.6253
O: 0.6957 0.3389 0.4025
Li: 0.5190 0.3154 0.0197
Li: 0.2230 0.8830 0.7299
O: 0.0679 0.3690 0.8747
O: 0.0634 0.0128 0.8691
Li: 0.4810 0.6846 0.9803
Nb: 0.7337 0.0008 0.7572
O: 0.1832 0.8064 0.3650
O: 0.7258 0.8133 0.8956
O: 0.9366 0.9872 0.1309
O: 0.2742 0.3133 0.6044
O: 0.5158 0.4706 0.8420
O: 0.8168 0.1936 0.6350
O: 0.2742 0.1867 0.1044
Nb: 0.7337 0.4992 0.2572
O: 0.3043 0.6611 0.5975
Li: 0.2230 0.6170 0.2299
O: 0.1832 0.6936 0.8650
O: 0.6957 0.1611 0.9025
O: 0.9366 0.5128 0.6309
Nb: 0.9975 0.6978 0.5015
O: 0.0679 0.1310 0.3747
Nb: 0.0025 0.1978 0.9985
O: 0.5158 0.0294 0.3420
Li: 0.7770 0.1170 0.2701
Li: 0.5190 0.1846 0.5197
O: 0.4842 0.9706 0.6580

***

KMg6Co: optimized geometry, meta-GGA r2SCAN.

Cell lengths 4.7487, 6.2584, 13.7993 Å; angles 90.00, 90.00, 90.00 degrees
Atoms (fractional coordinates):
Mg: 0.5000 0.5000 0.6306
Mg: 0.0000 0.5000 0.8140
Mg: 0.0000 0.0000 0.3140
Mg: 0.0000 0.7482 0.0503
Mg: 0.5000 0.0000 0.1306
K: 0.5000 0.0000 0.7118
Mg: 0.5000 0.2529 0.4245
Mg: 0.0000 0.7518 0.5503
Mg: 0.5000 0.7471 0.4245
Mg: 0.5000 0.2471 0.9245
Mg: 0.5000 0.7529 0.9245
Co: 0.0000 0.5000 0.3940
Mg: 0.0000 0.2518 0.0503
K: 0.5000 0.5000 0.2118
Co: 0.0000 0.0000 0.8940
Mg: 0.0000 0.2482 0.5503

***
-- stop --
## The article goes on


The company must register in the UCLM internship application by signing an agreement with the university; otherwise, students cannot start their internships. If the company is not registered, they should follow these steps:

  • The company must access the program through the "Companies and Institutions" profile.
  • After registering with the required data in the application, they will receive the corresponding "AGREEMENT" document, which must be completed by both the company and the University.

The RESPONSIBLE person in the company should fill out and sign the agreement and send it via email to the CIPE (Career Services). 

  • If the Responsible person uses a digital signature, they can send the signed agreement to CIPE. After a few days, it will reach the Vice Chancellor's Office for final approval, and the company will become active in the UCLM internship platform. The interested student can then find the company under the "List of Internships with Active Agreements" option.
  • If the Responsible person does NOT have a digital signature, they must PRINT two copies of the agreement on paper and sign them in all pages. The student will deliver these documents to the internship coordinator for the corresponding procedure at the Vice Chancellor's Office. The process might take up to three weeks. Once signed, the interested student can find the company under the "List of Internships with Active Agreements" option.


As an essential requirement, the student must have completed at least 150 ECTS credits. There are two ways to apply for internships in companies, and in both cases, it is essential that the company has an active Cooperation Agreement with UCLM to facilitate the external internships.
  • In some cases, the collaborating companies themselves offer internship positions during a suitable period. These companies must be previously registered in the internship application (link). The student should access the application and register with the "student" profile. They can then request the internship/s they are interested in. At the end of the specified application period, the internships will be assigned. If multiple students have requested the same internship, the academic record will be the main criterion to resolve and make the assignments. 
  • In other cases, the student directly contacts a company. In this scenario, the company must register in the application (link) (as indicated in the previous section). The student can guide the company on how to register in the application (see previous point). Once the company appears on the list of "companies with an agreement," AND ONLY FROM THAT MOMENT, the student will send the company a FORM in which they must also include the agreed period and schedule for the internship. It is crucial to fill in the start and end dates precisely so that at least 150 hours can be covered based on the hours per day. The student can perform a maximum of 40 hours per week within the time frame of 8:00 to 22:00, Monday to Friday. Weekends and holidays are not counted during the internship period. The completed form must be sent to the internship coordinator for processing. The assignment will be made directly to the student who has contacted the company.


The document "ANNEX TO THE EDUCATIONAL COOPERATION AGREEMENT" is generated. In this file: a) the name of the student assigned to the internship will appear, as well as b) the assigned Academic Tutor (who will be a professor from the Pharmacy Degree); and c) the professional tutor. The external internship coordinator will send this file to the three parties involved (both tutors and the student) for their signature, preferably with an electronic signature. IMPORTANT: THE ANNEX TO THE COOPERATION AGREEMENT MUST BE SIGNED BEFORE STARTING THE INTERNSHIP, so that all parties have legal coverage.

  • If the professional tutor DOES NOT have a digital certificate, 3 COPIES OF THE ANNEX TO THE COOPERATION AGREEMENT must be printed and brought to them for signing with a blue pen. Then the student signs it, and finally, the 3 printed copies are delivered for the academic tutor's signature. One copy is returned signed to the external tutor, and another is kept for the student.
  • If the student DOES NOT have a digital certificate, they will need to process it at the Social Security or Welfare Office or the relevant public agency in their place of residence. 


All documents are available on the CIPE website. THE STUDENT must submit the following documents within a maximum of one month after the end of the internship:
  1. Internship report (PE06).
  2. Complete the student satisfaction surveys (PE07).

The page is interrupted by records of crystals =
'''
Density functional theory data (GGA+U) for a relaxed structure of Na2VOF4.

Lattice parameters (Å, degrees): 6.8519 8.2958 8.2958 78.16 77.09 77.09
Atoms (fractional coordinates):
Na  0.6251  0.0002  0.7940
Na  0.1251  0.7940  0.0002
Na  0.3749  0.9998  0.2060
Na  0.8749  0.2060  0.9998
Na  0.9668  0.5686  0.7621
Na  0.4668  0.7621  0.5686
Na  0.0332  0.4314  0.2379
Na  0.5332  0.2379  0.4314
V  0.9172  0.8715  0.3992
V  0.0828  0.1285  0.6008
V  0.5828  0.6008  0.1285
V  0.4172  0.3992  0.8715
O  0.0118  0.3159  0.6551
O  0.5118  0.6551  0.3159
O  0.4882  0.3449  0.6841
O  0.9882  0.6841  0.3449
F  0.2726  0.6276  0.7963
F  0.2274  0.2037  0.3724
F  0.7274  0.3724  0.2037
F  0.7726  0.7963  0.6276
F  0.6508  0.9638  0.3426
F  0.8492  0.6574  0.0362
F  0.1508  0.3426  0.9638
F  0.3492  0.0362  0.6574
F  0.9621  0.0030  0.8151
F  0.0379  0.9970  0.1849
F  0.4621  0.8151  0.0030
F  0.5379  0.1849  0.9970
F  0.1557  0.8882  0.4915
F  0.8443  0.1118  0.5085
F  0.6557  0.4915  0.8882
F  0.3443  0.5085  0.1118

Computed properties:
total magnetic moment = 0.00 μB per atom
E_form = -2.96 eV per atom
symmetry = C2/c
calculated total energy = -175.216 eV per cell

* * * * *

This record from the Materials Project describes a relaxed Hf2N2O crystal. The functional is GGA-PBE.

Cell: 8.727 8.727 8.732 Å, 109.45 109.44 109.44°
Space group P1 (No. 1)
Unique sites:
Hf1 0.000 0.000 0.000 [1 per cell]
Hf2 0.002 0.498 0.499 [1 per cell]
Hf3 0.046 0.750 0.218 [1 per cell]
Hf4 0.224 0.969 0.674 [1 per cell]
Hf5 0.248 0.706 0.966 [1 per cell]
Hf6 0.268 0.232 0.487 [1 per cell]
Hf7 0.286 0.466 0.250 [1 per cell]
Hf8 0.476 0.681 0.727 [1 per cell]
Hf9 0.506 0.930 0.431 [1 per cell]
Hf10 0.511 0.440 0.939 [1 per cell]
Hf11 0.551 0.265 0.230 [1 per cell]
Hf12 0.722 0.968 0.186 [1 per cell]
Hf13 0.758 0.711 0.459 [1 per cell]
Hf14 0.769 0.223 0.980 [1 per cell]
Hf15 0.798 0.478 0.762 [1 per cell]
Hf16 0.977 0.188 0.718 [1 per cell]
N1 0.022 0.757 0.960 [1 per cell]
N2 0.031 0.447 0.732 [1 per cell]
N3 0.032 0.263 0.002 [1 per cell]
N4 0.215 0.449 0.458 [1 per cell]
N5 0.224 0.226 0.709 [1 per cell]
N6 0.252 0.676 0.200 [1 per cell]
N7 0.309 0.996 0.484 [1 per cell]
N8 0.496 0.688 0.983 [1 per cell]
N9 0.518 0.488 0.199 [1 per cell]
N10 0.531 0.459 0.697 [1 per cell]
N11 0.726 0.944 0.920 [1 per cell]
N12 0.742 0.480 0.504 [1 per cell]
N13 0.770 0.959 0.437 [1 per cell]
N14 0.792 0.489 0.017 [1 per cell]
N15 0.797 0.250 0.240 [1 per cell]
N16 0.988 0.712 0.430 [1 per cell]
O1 0.273 0.771 0.748 [1 per cell]
O2 0.291 0.199 0.230 [1 per cell]
O3 0.483 0.166 0.934 [1 per cell]
O4 0.483 0.995 0.211 [1 per cell]
O5 0.533 0.737 0.520 [1 per cell]
O6 0.710 0.183 0.698 [1 per cell]
O7 0.986 0.983 0.242 [1 per cell]
O8 0.996 0.944 0.744 [1 per cell]

## Properties
- V (Å³ per cell) = 513
- E_form (kJ/mol of formula units) = -1151
- uncorrected energy (eV/atom) = -10.556
- E (MP2020) (Ry/atom) = -0.7860
'''
Here the page continues =

After the grades are finalized, visit the UGAC to have the internships recorded in the European supplement to the degree.


  1. Annex to the agreement (signed original by all three parties): External tutor, student, and professional tutor.
  2. Internship report of the student (PE06).
  3. Copy of the final student survey (PE07).
  4. Final evaluation from the company tutor (PE08), which was requested beforehand.